[Wanted]
Now copy all of the listing further below word for word.

[Source]
=====
--- a ---
Here is an isolated ion of composition C8H15N2O and charge +1 from the OMol25 dataset. Energies are from wB97M-V/def2-TZVPD.

Output
Frontier orbital gap in eV: 8.47
Total charge: +1
SMILES: C[C@@H](O)/C(N)=C/C=C\CC=[NH2+]

The geometry in XYZ format:
```
26
C8H15N2O | the OMol25 dataset | wB97M-V/def2-TZVPD
C 2.0444 -1.4777 0.2611
C 2.2749 -0.0767 0.5069
O 3.3999 0.2972 -0.2987
C 1.0171 0.7125 0.0070
N 1.3570 1.7400 -0.8125
C -0.3186 0.5009 0.5520
C -1.1962 1.6640 0.1571
C -2.4228 1.4061 -0.1422
C -2.8948 -0.0149 0.1522
C -1.7360 -0.9659 0.2904
N -1.5328 -1.7645 -0.8132
H 1.6247 -1.6210 -0.7267
H 1.1706 -1.7100 0.9053
H 2.9032 -2.1959 0.3544
H 2.3319 0.0384 1.5958
H 3.8849 -0.4306 -0.6102
H 2.2980 1.9537 -0.8604
H 0.7011 2.4068 -1.0721
H -0.1393 0.2923 1.6101
H -0.7084 2.6360 0.1860
H -3.1967 1.9924 -0.4244
H -3.6045 0.0700 1.0873
H -3.5152 -0.4542 -0.6873
H -1.4671 -1.4786 1.1948
H -0.6109 -2.1849 -0.6845
H -1.6644 -1.3356 -1.7284
```


--- b ---
Here is a 2-piece molecular cluster, C8H15N2O overall from the OMol25 dataset. Energies are from wB97M-V/def2-TZVPD.

Output
Frontier orbital gap (spin up / spin down) in eV: 7.71 / 7.43
Total charge: +1

The geometry in XYZ format:
```
26
C8H15N2O | the OMol25 dataset | wB97M-V/def2-TZVPD
C -3.6492 0.7241 -0.2773
C -2.3068 0.9995 -0.6170
C -3.7106 -0.4736 0.3181
C -1.5957 -0.0546 -0.1685
C 2.9634 0.9427 -0.2774
C 0.9540 1.6021 1.2118
C 1.1855 -2.6697 -0.1909
C 0.9361 -0.2765 -0.6728
N -2.4285 -0.9883 0.4173
N 1.4803 0.9831 -0.0561
O 1.1981 -1.2717 0.1898
H -4.5132 1.3827 -0.4067
H -2.0991 1.9653 -1.1130
H -4.5062 -0.9485 0.7086
H 3.2779 0.2577 0.4772
H 3.1309 0.7389 -1.2443
H 3.5297 1.9224 0.0398
H 1.2760 2.6165 1.2554
H -0.1408 1.2888 1.1290
H 1.5576 1.1037 1.9814
H 0.8835 -3.3625 0.5658
H 2.1253 -2.8847 -0.4685
H 0.4219 -2.6490 -1.0195
H 1.1277 -0.5484 -1.6578
H -2.1473 -1.8732 0.7140
H 1.0495 1.4730 -0.8387
```


--- c ---
Here is an isolated ion of composition C8H15N2O and charge +1 from the OMol25 dataset. Energies are from wB97M-V/def2-TZVPD.

Output
Frontier orbital gap in eV: 10.31
Total charge: +1
SMILES: C1CN([C@@]2([NH+]3CC3)CCO2)C1

The geometry in XYZ format:
```
26
C8H15N2O | the OMol25 dataset | wB97M-V/def2-TZVPD
C 3.0163 0.6367 0.1458
C 1.6290 1.2665 0.5107
N 1.1043 0.4489 -0.5330
C -0.4626 -0.3465 -0.1775
N -1.2671 0.8142 -0.5995
C -2.6254 0.7449 -0.2482
C -1.7317 1.6994 0.4756
C -0.7168 -1.6985 -0.7997
C -1.0629 -2.1698 0.6253
O -0.7985 -0.8323 1.1339
C 2.2854 -0.4761 -0.5367
H 3.5897 1.1751 -0.5671
H 3.6217 0.5608 1.0553
H 1.3328 1.0955 1.6245
H 1.6254 2.4339 0.4104
H -0.9771 1.1628 -1.4705
H -2.7763 -0.0830 0.4196
H -3.4679 0.9234 -0.9804
H -1.7339 2.8245 0.4345
H -1.4636 1.2763 1.4856
H 0.2381 -2.0075 -1.2244
H -1.5496 -1.8115 -1.4124
H -2.0950 -2.6094 0.6747
H -0.4307 -2.8143 1.1983
H 2.4788 -0.6672 -1.6552
H 2.2375 -1.5468 0.0106
```


Which of them is least stable? Easy: b.


--- a ---
Here is C17H13N3S as an isolated structure from the OMol25 dataset. Energies are from wB97M-V/def2-TZVPD.

Output
Frontier orbital gap in eV: 8.52
Total charge: 0

The geometry in XYZ format:
```
34
C17H13N3S | the OMol25 dataset | wB97M-V/def2-TZVPD
N 1.5459 0.4955 -2.0756
N -1.7425 0.1806 0.8926
S -1.0671 0.5990 -2.9438
C 0.2746 0.5136 -1.8210
C 2.0846 0.1061 -0.9527
C 1.2432 0.1508 0.0945
C -1.3679 0.3308 -0.3165
C -5.6657 -0.1492 2.4541
C 6.2749 -0.5854 -1.2272
C -5.3418 0.9937 1.6748
C -4.7159 -0.9889 2.6854
C 5.5069 -1.3287 -0.2541
C 5.5921 0.4638 -1.8553
C -4.0172 1.0102 1.1534
C -3.3720 -0.9101 2.1680
C 4.0972 -1.0956 -0.0394
C 4.2139 0.7461 -1.5995
C -3.0548 0.1543 1.3230
C 3.4916 -0.0607 -0.7849
N -0.0165 0.3011 -0.5718
C -2.2711 0.4426 -1.5939
H 1.5279 -0.1060 1.1375
H -6.6159 -0.2599 3.0082
H 7.2607 -0.8844 -1.4532
H -6.0450 1.8022 1.6178
H -5.0137 -1.8059 3.2762
H 5.8831 -2.0406 0.3334
H 6.0507 1.1120 -2.5560
H -3.6622 1.9566 0.5741
H -2.6742 -1.6169 2.5871
H 3.6431 -1.7796 0.6375
H 3.8630 1.4267 -2.3167
H -2.9137 -0.4283 -1.7404
=====

[Solution]
--- a ---
Here is an isolated ion of composition C8H15N2O and charge +1 from the OMol25 dataset. Energies are from wB97M-V/def2-TZVPD.

Output
Frontier orbital gap in eV: 8.47
Total charge: +1
SMILES: C[C@@H](O)/C(N)=C/C=C\CC=[NH2+]

The geometry in XYZ format:
```
26
C8H15N2O | the OMol25 dataset | wB97M-V/def2-TZVPD
C 2.0444 -1.4777 0.2611
C 2.2749 -0.0767 0.5069
O 3.3999 0.2972 -0.2987
C 1.0171 0.7125 0.0070
N 1.3570 1.7400 -0.8125
C -0.3186 0.5009 0.5520
C -1.1962 1.6640 0.1571
C -2.4228 1.4061 -0.1422
C -2.8948 -0.0149 0.1522
C -1.7360 -0.9659 0.2904
N -1.5328 -1.7645 -0.8132
H 1.6247 -1.6210 -0.7267
H 1.1706 -1.7100 0.9053
H 2.9032 -2.1959 0.3544
H 2.3319 0.0384 1.5958
H 3.8849 -0.4306 -0.6102
H 2.2980 1.9537 -0.8604
H 0.7011 2.4068 -1.0721
H -0.1393 0.2923 1.6101
H -0.7084 2.6360 0.1860
H -3.1967 1.9924 -0.4244
H -3.6045 0.0700 1.0873
H -3.5152 -0.4542 -0.6873
H -1.4671 -1.4786 1.1948
H -0.6109 -2.1849 -0.6845
H -1.6644 -1.3356 -1.7284
```


--- b ---
Here is a 2-piece molecular cluster, C8H15N2O overall from the OMol25 dataset. Energies are from wB97M-V/def2-TZVPD.

Output
Frontier orbital gap (spin up / spin down) in eV: 7.71 / 7.43
Total charge: +1

The geometry in XYZ format:
```
26
C8H15N2O | the OMol25 dataset | wB97M-V/def2-TZVPD
C -3.6492 0.7241 -0.2773
C -2.3068 0.9995 -0.6170
C -3.7106 -0.4736 0.3181
C -1.5957 -0.0546 -0.1685
C 2.9634 0.9427 -0.2774
C 0.9540 1.6021 1.2118
C 1.1855 -2.6697 -0.1909
C 0.9361 -0.2765 -0.6728
N -2.4285 -0.9883 0.4173
N 1.4803 0.9831 -0.0561
O 1.1981 -1.2717 0.1898
H -4.5132 1.3827 -0.4067
H -2.0991 1.9653 -1.1130
H -4.5062 -0.9485 0.7086
H 3.2779 0.2577 0.4772
H 3.1309 0.7389 -1.2443
H 3.5297 1.9224 0.0398
H 1.2760 2.6165 1.2554
H -0.1408 1.2888 1.1290
H 1.5576 1.1037 1.9814
H 0.8835 -3.3625 0.5658
H 2.1253 -2.8847 -0.4685
H 0.4219 -2.6490 -1.0195
H 1.1277 -0.5484 -1.6578
H -2.1473 -1.8732 0.7140
H 1.0495 1.4730 -0.8387
```


--- c ---
Here is an isolated ion of composition C8H15N2O and charge +1 from the OMol25 dataset. Energies are from wB97M-V/def2-TZVPD.

Output
Frontier orbital gap in eV: 10.31
Total charge: +1
SMILES: C1CN([C@@]2([NH+]3CC3)CCO2)C1

The geometry in XYZ format:
```
26
C8H15N2O | the OMol25 dataset | wB97M-V/def2-TZVPD
C 3.0163 0.6367 0.1458
C 1.6290 1.2665 0.5107
N 1.1043 0.4489 -0.5330
C -0.4626 -0.3465 -0.1775
N -1.2671 0.8142 -0.5995
C -2.6254 0.7449 -0.2482
C -1.7317 1.6994 0.4756
C -0.7168 -1.6985 -0.7997
C -1.0629 -2.1698 0.6253
O -0.7985 -0.8323 1.1339
C 2.2854 -0.4761 -0.5367
H 3.5897 1.1751 -0.5671
H 3.6217 0.5608 1.0553
H 1.3328 1.0955 1.6245
H 1.6254 2.4339 0.4104
H -0.9771 1.1628 -1.4705
H -2.7763 -0.0830 0.4196
H -3.4679 0.9234 -0.9804
H -1.7339 2.8245 0.4345
H -1.4636 1.2763 1.4856
H 0.2381 -2.0075 -1.2244
H -1.5496 -1.8115 -1.4124
H -2.0950 -2.6094 0.6747
H -0.4307 -2.8143 1.1983
H 2.4788 -0.6672 -1.6552
H 2.2375 -1.5468 0.0106
```


Which of them is least stable? Easy: b.


--- a ---
Here is C17H13N3S as an isolated structure from the OMol25 dataset. Energies are from wB97M-V/def2-TZVPD.

Output
Frontier orbital gap in eV: 8.52
Total charge: 0

The geometry in XYZ format:
```
34
C17H13N3S | the OMol25 dataset | wB97M-V/def2-TZVPD
N 1.5459 0.4955 -2.0756
N -1.7425 0.1806 0.8926
S -1.0671 0.5990 -2.9438
C 0.2746 0.5136 -1.8210
C 2.0846 0.1061 -0.9527
C 1.2432 0.1508 0.0945
C -1.3679 0.3308 -0.3165
C -5.6657 -0.1492 2.4541
C 6.2749 -0.5854 -1.2272
C -5.3418 0.9937 1.6748
C -4.7159 -0.9889 2.6854
C 5.5069 -1.3287 -0.2541
C 5.5921 0.4638 -1.8553
C -4.0172 1.0102 1.1534
C -3.3720 -0.9101 2.1680
C 4.0972 -1.0956 -0.0394
C 4.2139 0.7461 -1.5995
C -3.0548 0.1543 1.3230
C 3.4916 -0.0607 -0.7849
N -0.0165 0.3011 -0.5718
C -2.2711 0.4426 -1.5939
H 1.5279 -0.1060 1.1375
H -6.6159 -0.2599 3.0082
H 7.2607 -0.8844 -1.4532
H -6.0450 1.8022 1.6178
H -5.0137 -1.8059 3.2762
H 5.8831 -2.0406 0.3334
H 6.0507 1.1120 -2.5560
H -3.6622 1.9566 0.5741
H -2.6742 -1.6169 2.5871
H 3.6431 -1.7796 0.6375
H 3.8630 1.4267 -2.3167
H -2.9137 -0.4283 -1.7404